Displaying 1 - 50 of 106 in reverse chronological order
# | Title | Date | Summary |
1 | Inner Weather Northern Iowan 80:38, p.9 |
Creative work. | |
2 | Sauer to retire after 32 years Northern Iowan 77:56, p.14 |
Brief profile of Pauline Sauer and brief history of UNI Museum. |
3 | Varsity Men's Glee Club--on the road Northern Iowan 77:51, p.7 |
A quick look at the spring trip; photo. | |
4 | Variety show tonight Northern Iowan 77:50, p.12 |
Phi Mu Alpha Sinfonia will sponsor show; group is celebrating its fiftieth anniversary. | |
5 | Lithographs on display in Union Northern Iowan 77:48, p.12 |
Jo Siddens shows work; photo. | |
6 | 'Altered States' plays it safe Northern Iowan 77:45, p.8 |
Review of "Altered States"; photo. | |
7 | 'Habeas Corpus' mixes sex, humor Northern Iowan 77:42, p.6 |
Cast of UNI's 'Habeas Corpus' makes the most of every line. | |
8 | Eats: it's small, quiet, elegant Northern Iowan 77:41, p.11 |
The Depot provides a quiet setting for great tasting food. | |
9 | Bring own supplies to shelter Northern Iowan 77:41, p.14 |
Outdated civil defense shelter supplies removed from campus and will not be replaced. | |
10 | Faculty show diverse Northern Iowan 77:38, p.7 |
Faculty art show provides more than just letting the public see their work. | |
11 | Eats: grownin' up on Hwy. 218 Northern Iowan 77:37, p.10 |
The Brown Bottle offers the best food, prices, and atmosphere in town. | |
12 | New Wave artists on 'Progression' Northern Iowan 77:37, p.14 |
Steve Maravetz talks about the music. | |
Record 1
Computed, not measured: an optimized crystal structure of SbAsRh at the meta-GGA r2SCAN level of DFT.

Geometry as extended XYZ:
```
12
Lattice="1.7658 3.5531 -4.9595 5.2018 -3.6245 -0.7446 -5.1671 -1.9975 -3.2708" Properties=species:S:1:pos:R:3 pbc="T T T"
Sb 0.0255 0.9406 -4.4335
Sb 3.9313 -2.8703 -1.7062
Sb 1.7749 -3.0095 -4.5414
Sb -2.1308 0.8013 -7.2687
As 1.5466 -0.3194 -2.6326
As 0.2538 -1.7496 -6.3423
As -1.4368 -2.1228 -3.1448
As 3.2373 0.0539 -5.8301
Rh 3.5530 -1.1984 -3.7259
Rh -0.0235 -1.5911 -1.2137
Rh 1.8239 -0.4778 -7.7612
Rh -1.7526 -0.8705 -5.2491
```

## Properties
- calculated density (g/cm3) = 8.4
- formation energy (kcal/mol of atoms) = -13.1



Record 2
Computed, not measured: an optimized crystal structure of KMnSn3O8 at the meta-GGA r2SCAN level of DFT.

Geometry as extended XYZ:
```
26
Lattice="-0.1190 -0.0369 -6.3991 -5.2276 -5.2121 1.4693 -5.1900 5.1068 -1.6670" Properties=species:S:1:pos:R:3 pbc="T T T"
O -3.5617 -0.4699 -4.8354
O -3.5023 -0.4515 -1.6358
O -6.9461 0.2984 -1.7042
O -8.3749 -1.6144 -0.3781
O -5.7804 -1.7414 -3.1927
O -2.1081 1.5863 -3.3011
O -2.1676 1.5676 -6.5007
O -5.7208 -1.7230 0.0069
O -3.7006 -3.1503 -1.6043
O -3.7601 -3.1687 -4.8038
O -4.8060 1.6338 -3.2899
O -7.0057 0.2800 -4.9038
O -8.4344 -1.6329 -3.5777
O -6.8569 2.9656 -1.7142
O -4.8655 1.6154 -6.4893
O -6.9164 2.9472 -4.9136
Mn -7.0395 -1.6605 -4.9122
Mn -6.9801 -1.6420 -1.7128
K -10.3081 -0.1624 -1.8340
K -10.3665 -0.1810 -5.0334
Sn -6.8307 1.5439 -3.3105
Sn -3.8016 -1.7513 -3.2155
Sn -6.8902 1.5256 -6.5100
Sn -3.4338 1.5923 -1.6877
Sn -3.7421 -1.7329 -0.0159
Sn -3.4932 1.5738 -4.8872
```

## Properties
- calculated density (g/cm3) = 5.6
- formation energy (kcal/mol of atoms) = -44.4



Record 3
Computed, not measured: an optimized crystal structure of BaCuGe at the meta-GGA r2SCAN level of DFT.

Geometry as extended XYZ:
```
3
Lattice="2.1172 -3.6670 0.0000 2.1172 3.6670 0.0000 0.0000 0.0000 5.0455" Properties=species:S:1:pos:R:3 pbc="T T T"
Ba 2.1172 1.2223 0.0000
Ge 0.0000 0.0000 2.5228
Cu 2.1172 -1.2223 2.5228
```

## Properties
- calculated density (g/cm3) = 5.8
- formation energy (kcal/mol of atoms) = -8.6



Record 4
Computed, not measured: an optimized crystal structure of Ba2NF at the meta-GGA r2SCAN level of DFT.

Geometry as extended XYZ:
```
4
Lattice="-2.0108 -3.4828 0.0000 -4.0216 0.0000 0.0000 -2.0108 -1.1609 -6.6751" Properties=species:S:1:pos:R:3 pbc="T T T"
F 0.0000 0.0000 0.0000
Ba -2.0108 -1.1609 -1.8218
Ba -6.0325 -3.4828 -4.8533
N -4.0216 -2.3219 -3.3376
```

## Properties
- calculated density (g/cm3) = 5.5
- formation energy (kcal/mol of atoms) = -43.5



Record 5
Computed, not measured: an optimized crystal structure of SrTcN3 at the meta-GGA r2SCAN level of DFT.

Geometry as extended XYZ:
```
20
Lattice="1.4295 -4.5789 3.7492 -5.8473 -4.6140 -1.0723 3.3237 -2.2609 -6.3617" Properties=species:S:1:pos:R:3 pbc="T T T"
N -4.1934 -4.3351 -0.2822
N 0.3784 -7.7439 -3.6520
N 3.0993 -7.1187 -3.4027
13 | Spring art conference to include Lash, Page Northern Iowan 77:35, p.12 |
Highlights of the conference. | |
14 | Eats: slip into the Slipper Northern Iowan 77:35, p.9 |
Silver Slipper is a country-western style bar and restaurant which serves large portions for a small price. | |
15 | Eats: it's the place to try Northern Iowan 77:33, p.9 |
Yen Ching provides great Chinese food for low price. | |
16 | Bake it yourself: eats Northern Iowan 77:31, p.9 |
Prima Pizza provides the delicious pizzas which you bake at your home. | |
17 | Eastwood still 'the tough guy' Northern Iowan 77:31, p.12 |
Clint Eastwood is still the standard tough guy in "Any Which Way You Can." | |
18 | Union Film Society continues Northern Iowan 77:30, p.9 |
What comes next are materials data, not part of the page:
Computed, not measured: a relaxed LiFeP2HO7 crystal at the PBE with a Hubbard U level of DFT.

- Volume: 591 Å³/cell
- Relative energy among the computed polymorphs: 32 meV/atom
- Spin magnetization: 4.00 μB/f.u.
- Energy relative to the elements: -2333 meV per atom

a = 6.0233 Å, b = 7.8269 Å, c = 12.7465 Å
α = 84.96°, β = 95.88°, γ = 97.60°
With the nearest neighbours (Å) after each atom.
Fractional positions:
O: 0.4910 0.8758 0.0912  1 P 1.53
O: 0.1858 0.7601 0.9024  1 H 1.03
O: 0.3458 0.7387 0.2671  2 P 1.59-1.63
O: 0.6895 0.7618 0.4016  1 H 1.03
O: 0.6542 0.2622 0.7326  2 P 1.60-1.63
O: 0.9275 0.4204 0.3446  1 P 1.54
O: 0.8416 0.3604 0.9025  1 P 1.55, 1 H 1.59
O: 0.6939 0.1881 0.5509  1 P 1.52
O: 0.8440 0.7390 0.7668  2 P 1.59-1.63
O: 0.5223 0.0333 0.3224  1 P 1.51
O: 0.0082 0.1249 0.4086  1 P 1.53
O: 0.3117 0.2388 0.5976  1 H 1.03
O: 0.5079 0.1236 0.9082  1 P 1.53
O: 0.0201 0.0325 0.8235  1 P 1.51
O: 0.1583 0.6385 0.0977  1 P 1.55, 1 H 1.59
O: 0.6596 0.6396 0.5971  1 P 1.55, 1 H 1.60
O: 0.4779 0.9671 0.6783  1 P 1.51
O: 0.9788 0.9670 0.1778  1 P 1.51
O: 0.3410 0.3620 0.4027  1 P 1.55, 1 H 1.59
O: 0.1546 0.2617 0.2330  2 P 1.59-1.63
O: 0.5718 0.5802 0.1549  1 P 1.54
O: 0.0729 0.5814 0.6552  1 P 1.54
O: 0.3066 0.8111 0.4490  1 P 1.52
O: 0.1959 0.1886 0.0514  1 P 1.52
O: 0.9923 0.8768 0.5914  1 P 1.53
O: 0.4283 0.4197 0.8455  1 P 1.54
O: 0.8127 0.2384 0.0975  1 H 1.03
O: 0.8028 0.8094 0.9491  1 P 1.52
Li: 0.0059 0.8839 0.4294  4 O 1.88-2.07
Li: 0.5019 0.8823 0.9294  4 O 1.88-2.07
Li: 0.4968 0.1168 0.0704  4 O 1.88-2.07
Li: 0.9958 0.1176 0.5698  4 O 1.88-2.06
P: 0.0357 0.1536 0.1378  4 O 1.51-1.59
P: 0.8956 0.7070 0.6477  4 O 1.53-1.63
P: 0.1049 0.2948 0.3521  4 O 1.53-1.63
P: 0.5345 0.1536 0.6378  4 O 1.51-1.60
P: 0.3948 0.7060 0.1477  4 O 1.53-1.63
P: 0.4658 0.8465 0.3622  4 O 1.51-1.60
P: 0.6051 0.2938 0.8522  4 O 1.53-1.63
P: 0.9629 0.8455 0.8627  4 O 1.51-1.60
Fe: 0.1483 0.2598 0.8866  4 O 2.04-2.14
Fe: 0.8523 0.7392 0.1142  4 O 2.04-2.13
Fe: 0.3539 0.7391 0.6140  4 O 2.04-2.13
Fe: 0.6484 0.2607 0.3866  4 O 2.05-2.14
H: 0.8302 0.3053 0.0247  1 O 1.03
H: 0.3294 0.3062 0.5250  1 O 1.03
H: 0.6722 0.6943 0.4740  1 O 1.03
H: 0.1687 0.6929 0.9750  1 O 1.03


Computed, not measured: a relaxed Li4V3Fe2Sb3O16 crystal at the PBE with a Hubbard U level of DFT.

- Volume: 326 Å³/cell
- Spin magnetization: 14.00 μB/f.u.
- Energy relative to the elements: -2142 meV per atom

a = 6.1585 Å, b = 6.1585 Å, c = 9.9370 Å
α = 89.75°, β = 89.75°, γ = 60.03°
With the nearest neighbours (Å) after each atom.
Fractional positions:
O: 0.4821 0.4821 0.8314  1 Li 1.99, 2 V 2.04, 1 Fe 2.06
O: 0.3156 0.8496 0.6012  1 Li 1.96, 1 Sb 2.06, 1 V 2.09, 1 Fe 2.09
O: 0.5127 0.9658 0.3255  1 Sb 1.98, 1 V 2.02, 1 Li 2.07
O: 0.0038 0.0038 0.3206  1 Li 1.84, 2 Sb 2.06
O: 0.0332 0.4794 0.8328  1 Li 2.01, 1 Sb 2.02, 1 V 2.08, 1 Fe 2.20
O: 0.6934 0.1593 0.1100  1 Li 1.99, 1 Sb 2.00, 1 V 2.05
O: 0.9658 0.5127 0.3255  1 Sb 1.98, 1 V 2.02, 1 Li 2.07
The materials data stop here:
Union Film Society offers more movies to UNI. | |
19 | It's guaranteed, folks Northern Iowan 77:29, p.10 |
The Sirloin Stockade guarantees steak the way you like it. | |
20 | Play captures more than movie: 'Elephant Man' Northern Iowan 77:29, p.11 |
American Theater Production's "Elephant Man" performed differently from on the big screen. | |
21 | Cable tabled for awhile for residence hall: university determines when to install it Northern Iowan 77:27, p.7 |
A look at the present television situation in the community and predictions about the future. | |
22 | Don't go overboard Northern Iowan 77:27, p.10 |
Red Lobster food is good but remember to order lunch items when there for lunch otherwise lunch can be expensive. | |
23 | 'Black and White' is back Northern Iowan 77:26, p.16 |
Preview of the magazine. | |
24 | Eats Northern Iowan 77:26, p.12 |
Review of Embers. | |
25 | Hume discusses photos Northern Iowan 77:25, p.12 |
Sandy Hume talks about his art; photo. | |
26 | In review: Woody Allen's new movie is complex, vain, but enjoyable Northern Iowan 77:25, p.10 |
Review of the film "Stardust Memories." | |
27 | Eats Northern Iowan 77:24, p.14 |
Review of Village Inn. | |
28 | Eats Public Relations News Release 77:22, p.10 |
Review of the restaurant Fourth and Main. | |
29 | Anderson's art makes conference Northern Iowan 77:21, p.10 |
Review of the performance by Laurie Anderson and highlights of Visual World conference; photo. | |
30 | Eats Public Relations News Release 77:20, p.10 |
Review of Pickerman's Pantry. | |
31 | Punk 'Prometheus' is innovative, imaginative Northern Iowan 77:19, p.12 |
(Unrelated to this article: materials data)
/*
HfMg30BO31: relaxed, PBE-GGA.

Lattice parameters (Å, degrees): 8.5168 8.6051 8.6648 90.00 90.00 90.00
Sites, in units of the cell vectors:
Hf 0.9914 0.0000 0.5000
Mg 0.9921 0.5000 0.0000
Mg 0.9970 0.5000 0.5000
Mg 0.4920 0.0000 0.0000
Mg 0.5011 0.0000 0.5000
Mg 0.4994 0.5000 0.0000
Mg 0.4989 0.5000 0.5000
Mg 0.9979 0.2481 0.2339
Mg 0.9979 0.2481 0.7661
Mg 0.9979 0.7519 0.2339
Mg 0.9979 0.7519 0.7661
Mg 0.4970 0.2502 0.2472
Mg 0.4970 0.2502 0.7528
Mg 0.4970 0.7498 0.2472
Mg 0.4970 0.7498 0.7528
Mg 0.2504 0.0000 0.2555
Mg 0.2504 0.0000 0.7445
Mg 0.2466 0.5000 0.2512
Mg 0.2466 0.5000 0.7488
Mg 0.7460 0.0000 0.2340
Mg 0.7460 0.0000 0.7660
Mg 0.7483 0.5000 0.2467
Mg 0.7483 0.5000 0.7533
Mg 0.2434 0.2616 0.0000
Mg 0.2521 0.2586 0.5000
Mg 0.2434 0.7384 0.0000
Mg 0.2521 0.7414 0.5000
Mg 0.7499 0.2450 0.0000
Mg 0.7422 0.2567 0.5000
Mg 0.7499 0.7550 0.0000
Mg 0.7422 0.7433 0.5000
B 0.2158 0.0000 0.0000
O 0.2432 0.0000 0.5000
O 0.2500 0.5000 0.0000
O 0.2475 0.5000 0.5000
O 0.7272 0.0000 0.0000
O 0.7486 0.0000 0.5000
O 0.7428 0.5000 0.0000
O 0.7482 0.5000 0.5000
O 0.2465 0.2531 0.2564
O 0.2465 0.2531 0.7436
O 0.2465 0.7469 0.2564
O 0.2465 0.7469 0.7436
O 0.7477 0.2484 0.2511
O 0.7477 0.2484 0.7489
O 0.7477 0.7516 0.2511
O 0.7477 0.7516 0.7489
O 0.9937 0.0000 0.2662
O 0.9937 0.0000 0.7338
O 0.9968 0.5000 0.2559
O 0.9968 0.5000 0.7441
O 0.4971 0.0000 0.2573
O 0.4971 0.0000 0.7427
O 0.4980 0.5000 0.2525
O 0.4980 0.5000 0.7475
O 0.9940 0.2707 0.0000
O 0.9963 0.2448 0.5000
O 0.9940 0.7293 0.0000
O 0.9963 0.7552 0.5000
O 0.4961 0.2541 0.0000
O 0.4979 0.2495 0.5000
O 0.4961 0.7459 0.0000
O 0.4979 0.7505 0.5000

Computed properties:
DFT formation energy = -2.89 eV per atom
space group = Pmm2
excess energy over the best structure of this formula in the dataset = 0 meV/atom
size of the total moment = 3.01 μB per formula unit
MP2020-corrected energy = -6.3558 eV/atom

* * * * *

Record 1
First-principles (PBE) data for an optimized crystal structure of ReSeS, as listed in the Materials Project database.

CIF file:
```
data_ReSeS
_chemical_formula_sum 'Re4 Se4 S4'
_cell_length_a 6.514
_cell_length_b 6.628
_cell_length_c 7.069
_cell_angle_alpha 74.05
_cell_angle_beta 76.68
_cell_angle_gamma 61.57
_symmetry_space_group_name_H-M 'P -1'
_symmetry_Int_Tables_number 2
_symmetry_space_group_name_Hall '-P 1'
loop_
_atom_site_label
_atom_site_type_symbol
_atom_site_fract_x
_atom_site_fract_y
_atom_site_fract_z
Re1 Re 0.009 0.286 0.002
Re2 Re 0.438 0.315 0.009
Se1 Se 0.107 0.377 0.281
Se2 Se 0.387 0.114 0.780
S1 S 0.161 0.866 0.169
S2 S 0.348 0.656 0.768
```

Results
For the formation energy, the calculation gives -1.92 eV/f.u. The spin magnetization is 0.00 μB per formula unit.

---

Record 2
First-principles (PBE) data for an optimized crystal structure of ReTeS, as listed in the Materials Project database.

CIF file:
```
data_ReTeS
_chemical_formula_sum 'Re16 Te16 S16'
_cell_length_a 10.193
_cell_length_b 10.193
_cell_length_c 10.193
_cell_angle_alpha 90.00
*/
Review of the play "Prometheus Bound." | |
32 | Eats Northern Iowan 77:18, p.8 |
Review of Granny's Grub Box. | |
33 | Eats Northern Iowan 77:16, p.12 |
Review of Shakey's restaurant. | |
34 | O. P. raises MS funds Northern Iowan 77:15, p.17 |
Raise over $2100 during auction; photo. | |
35 | 'Metro Dance Theatre in concert' Northern Iowan 77:15, p.15 |
Lynda Carr and two students will perform with troupe. | |
36 | Herzog's 'Nosferatu' could become classic Northern Iowan 77:15, p.12 |
Review of the movie "Nosferatu the Vampyre;" photo. | |
37 | Eats Northern Iowan 77:14, p.14 |
Review of Wild Boar Pizza & Pub. | |
38 | 'The Great West,' where even real is ideal Northern Iowan 77:14, p.17 |
Review of the photograph display, "The Great West, Real/Ideal"; photo. | |
39 | Goldie Hawn knocks 'em dead Northern Iowan 77:14, p.18 |
Review of the film "Private Benjamin"; photo. | |
40 | Eats Northern Iowan 77:10, p.9 |
Review of The Great Plains Sauce and Dough Co. | |
41 | 'Big Red One' like old war movie Northern Iowan 77:9, p.6 |
Review of the movie "Big Red One." | |
42 | Eats Northern Iowan 77:8, p.8 |
Review of the Other Place on the Hill. | |
43 | 'Those Lips, Those Eyes' boring song, dance Northern Iowan 77:7, p.12 |
Review of the movie "Those Lips, Those Eyes." | |
44 | Eats Public Relations News Release 77:6, p.10 |
Review of the Candy Kitchen. | |
45 | If reruns are too much, try one of these Northern Iowan 77:4, p.8 |
Gives alternative of watching public television, attending theatrical productions, and listening to the radio. | |
46 | Eats Northern Iowan 77:4, p.9 |
Review of the Malt Shoppe on the Hill. | |
47 | Viewpoint Northern Iowan 77:2, p.3 |
A summary of current movies. | |
48 | Xanadu dances in promising; bows out weak Northern Iowan 77:1, p.8 |
Review of the movie "Xanadu". | |
49 | Local novelist to give address at Commencement ceremony Northern Iowan 76:56, p.1 |
Nancy Price Thompson will give this year's Commencement address. | |
50 | Pottery is functional, impractical Northern Iowan 76:55, p.4 |
Review of Rudy Autio's artwork; photo. |